== Work order ==
Return all of the calculation results further down without additions, please.

== File ==
********
A single C3H3NO2 molecule at a distorted geometry. Source: the OMol25 dataset; level of theory: the ωB97M-V functional and the def2-TZVPD basis.

The calculated total energy comes out at -321.159949 Ha. The value obtained for the HOMO-LUMO gap is 10.5 eV. For the HOMO energy, the calculation gives -9.970 eV. The SMILES is O=NOC1C=C1. As for the energy relative to the best compared isomer or geometry (same formula, charge and spin): 136.6 kcal per mole. The net charge is 0.

Cartesian coordinates (Å):
O  -1.06  -0.77  0.06
C  0.96  0.76  0.29
N  -1.82  0.38  0.02
C  0.30  -0.58  0.35
C  1.23  -0.05  -0.70
H  0.60  -1.35  1.05
O  -2.97  0.19  -0.22
H  1.06  1.70  0.77
H  1.70  -0.27  -1.62

=====

# 1
C10H11NO | the ωB97M-V functional and the def2-TZVPD basis

Positions of all 23 atoms, in Å:
1 C -0.017 -0.010 -2.599
2 C -0.608 -0.919 -1.576
3 C -1.391 -0.135 -0.410
4 C -0.468 0.325 0.644
5 C 0.174 -0.579 1.520
6 C 1.063 -0.193 2.489
7 C 1.457 1.124 2.546
8 C 0.784 2.102 1.777
9 C -0.136 1.683 0.820
10 C -2.885 -0.699 0.059
11 N -3.406 0.213 -0.641
12 O -2.266 0.911 -0.996
13 H 0.486 -0.588 -3.382
14 H 0.710 0.676 -2.202
15 H -0.858 0.542 -3.045
16 H 0.074 -1.714 -1.122
17 H -1.350 -1.536 -2.172
18 H 0.026 -1.562 1.398
19 H 1.434 -0.933 3.188
20 H 1.993 1.509 3.446
21 H 1.266 3.076 1.754
22 H -0.720 2.352 0.307
23 H -3.266 -1.586 0.551

Its spin multiplicity is 1.

# 2
H22O17SV | the ωB97M-V functional and the def2-TZVPD basis

Positions of all 41 atoms, in Å:
1 O 1.173 -2.712 1.866
2 V 2.059 -1.434 2.136
3 O 3.596 -1.743 1.808
4 S 0.282 0.114 -0.075
5 O 0.259 1.594 0.022
6 O -0.835 -0.428 0.732
7 O 0.206 -0.291 -1.474
8 O 1.586 -0.335 0.540
9 O 3.100 -2.164 -1.905
10 H 2.305 -1.655 -1.694
11 H 2.903 -3.057 -1.606
12 O -2.345 0.774 2.643
13 H -1.899 1.623 2.817
14 H -1.853 0.414 1.887
15 O 0.195 -0.570 3.175
16 H 0.145 -0.174 4.054
17 H -0.644 -0.316 2.720
18 O -3.491 -0.815 -0.421
19 H -2.723 -0.848 0.171
20 H -3.230 -0.203 -1.124
21 O -1.805 0.307 -3.430
22 H -1.107 -0.227 -3.018
23 H -1.695 1.185 -3.024
24 O -1.285 -3.157 0.746
25 H -1.202 -3.468 1.651
26 H -1.103 -2.185 0.782
27 O 2.509 2.942 0.572
28 H 1.807 2.292 0.281
29 H 3.307 2.418 0.688
30 O -0.568 -2.932 -2.179
31 H -0.718 -3.286 -1.289
32 H -0.302 -2.005 -2.027
33 O -1.600 2.671 -1.604
34 H -1.632 3.623 -1.479
35 H -0.904 2.337 -0.969
36 O 1.594 1.513 -3.323
37 H 1.222 0.848 -2.716
38 H 2.505 1.620 -3.032
39 O -0.262 2.682 2.568
40 H -0.062 2.824 1.626
41 H 0.513 2.224 2.905

As for the charge: -1. Its spin multiplicity is 1.

# 3
C9H7NO4 | the ωB97M-V functional and the def2-TZVPD basis

Positions of all 21 atoms, in Å:
1 C -1.858 -1.880 1.853
2 C -1.240 -2.771 0.849
3 C -1.840 -0.520 1.645
4 C -0.579 -2.217 -0.229
5 C -1.210 0.091 0.527
6 C -0.565 -0.808 -0.265
7 C 0.250 1.450 -0.771
8 C 4.007 1.405 -0.690
9 C -0.916 1.480 0.170
10 N 0.108 1.052 -2.073
11 O 3.844 2.092 -1.602
12 O 1.316 1.921 -0.458
13 O 4.108 0.662 0.194
14 O 1.320 1.100 -2.649
15 H -2.406 -2.402 2.514
16 H -1.395 -3.731 0.933
17 H -2.424 0.196 2.364
18 H -0.025 -2.766 -0.948
19 H -1.674 1.995 -0.407
20 H -0.787 1.982 1.090
21 H 1.967 1.669 -2.047

Its spin multiplicity is 1.

# 4
C53H55AuClIN2O6 | the ωB97M-V functional and the def2-TZVPD basis

Positions of all 119 atoms, in Å:
1 Au 1.117 0.896 -0.269
2 C -0.797 -1.914 -3.662
3 C -1.112 -2.075 -2.177
4 C -2.527 -2.624 -1.971
5 C -0.092 -2.938 -1.458
6 C 0.300 -4.169 -1.971
7 C 1.205 -4.977 -1.297
8 C 1.743 -4.536 -0.096
9 C 1.376 -3.313 0.454
10 C 2.022 -2.826 1.739
11 C 3.474 -2.410 1.479
12 C 1.930 -3.857 2.869
13 C 0.432 -2.515 -0.223
14 N 0.079 -1.267 0.294
15 C -0.791 -1.146 1.272
16 C -1.053 0.101 1.946
17 N -0.405 1.206 1.675
18 C -0.687 2.397 2.340
19 C -1.747 3.213 1.919
20 C -2.000 4.390 2.617
21 C -1.218 4.770 3.699
22 C -0.130 3.983 4.062
23 C 0.165 2.809 3.381
24 C 1.368 1.959 3.747
25 C 2.628 2.789 3.998
26 C 1.054 1.062 4.948
27 C -2.572 2.831 0.702
28 C -4.040 2.586 1.058
29 C -2.444 3.884 -0.402
30 C -2.080 -0.166 2.995
********

== Done ==
A single C3H3NO2 molecule at a distorted geometry. Source: the OMol25 dataset; level of theory: the ωB97M-V functional and the def2-TZVPD basis.

The calculated total energy comes out at -321.159949 Ha. The value obtained for the HOMO-LUMO gap is 10.5 eV. For the HOMO energy, the calculation gives -9.970 eV. The SMILES is O=NOC1C=C1. As for the energy relative to the best compared isomer or geometry (same formula, charge and spin): 136.6 kcal per mole. The net charge is 0.

Cartesian coordinates (Å):
O  -1.06  -0.77  0.06
C  0.96  0.76  0.29
N  -1.82  0.38  0.02
C  0.30  -0.58  0.35
C  1.23  -0.05  -0.70
H  0.60  -1.35  1.05
O  -2.97  0.19  -0.22
H  1.06  1.70  0.77
H  1.70  -0.27  -1.62

=====

# 1
C10H11NO | the ωB97M-V functional and the def2-TZVPD basis

Positions of all 23 atoms, in Å:
1 C -0.017 -0.010 -2.599
2 C -0.608 -0.919 -1.576
3 C -1.391 -0.135 -0.410
4 C -0.468 0.325 0.644
5 C 0.174 -0.579 1.520
6 C 1.063 -0.193 2.489
7 C 1.457 1.124 2.546
8 C 0.784 2.102 1.777
9 C -0.136 1.683 0.820
10 C -2.885 -0.699 0.059
11 N -3.406 0.213 -0.641
12 O -2.266 0.911 -0.996
13 H 0.486 -0.588 -3.382
14 H 0.710 0.676 -2.202
15 H -0.858 0.542 -3.045
16 H 0.074 -1.714 -1.122
17 H -1.350 -1.536 -2.172
18 H 0.026 -1.562 1.398
19 H 1.434 -0.933 3.188
20 H 1.993 1.509 3.446
21 H 1.266 3.076 1.754
22 H -0.720 2.352 0.307
23 H -3.266 -1.586 0.551

Its spin multiplicity is 1.

# 2
H22O17SV | the ωB97M-V functional and the def2-TZVPD basis

Positions of all 41 atoms, in Å:
1 O 1.173 -2.712 1.866
2 V 2.059 -1.434 2.136
3 O 3.596 -1.743 1.808
4 S 0.282 0.114 -0.075
5 O 0.259 1.594 0.022
6 O -0.835 -0.428 0.732
7 O 0.206 -0.291 -1.474
8 O 1.586 -0.335 0.540
9 O 3.100 -2.164 -1.905
10 H 2.305 -1.655 -1.694
11 H 2.903 -3.057 -1.606
12 O -2.345 0.774 2.643
13 H -1.899 1.623 2.817
14 H -1.853 0.414 1.887
15 O 0.195 -0.570 3.175
16 H 0.145 -0.174 4.054
17 H -0.644 -0.316 2.720
18 O -3.491 -0.815 -0.421
19 H -2.723 -0.848 0.171
20 H -3.230 -0.203 -1.124
21 O -1.805 0.307 -3.430
22 H -1.107 -0.227 -3.018
23 H -1.695 1.185 -3.024
24 O -1.285 -3.157 0.746
25 H -1.202 -3.468 1.651
26 H -1.103 -2.185 0.782
27 O 2.509 2.942 0.572
28 H 1.807 2.292 0.281
29 H 3.307 2.418 0.688
30 O -0.568 -2.932 -2.179
31 H -0.718 -3.286 -1.289
32 H -0.302 -2.005 -2.027
33 O -1.600 2.671 -1.604
34 H -1.632 3.623 -1.479
35 H -0.904 2.337 -0.969
36 O 1.594 1.513 -3.323
37 H 1.222 0.848 -2.716
38 H 2.505 1.620 -3.032
39 O -0.262 2.682 2.568
40 H -0.062 2.824 1.626
41 H 0.513 2.224 2.905

As for the charge: -1. Its spin multiplicity is 1.

# 3
C9H7NO4 | the ωB97M-V functional and the def2-TZVPD basis

Positions of all 21 atoms, in Å:
1 C -1.858 -1.880 1.853
2 C -1.240 -2.771 0.849
3 C -1.840 -0.520 1.645
4 C -0.579 -2.217 -0.229
5 C -1.210 0.091 0.527
6 C -0.565 -0.808 -0.265
7 C 0.250 1.450 -0.771
8 C 4.007 1.405 -0.690
9 C -0.916 1.480 0.170
10 N 0.108 1.052 -2.073
11 O 3.844 2.092 -1.602
12 O 1.316 1.921 -0.458
13 O 4.108 0.662 0.194
14 O 1.320 1.100 -2.649
15 H -2.406 -2.402 2.514
16 H -1.395 -3.731 0.933
17 H -2.424 0.196 2.364
18 H -0.025 -2.766 -0.948
19 H -1.674 1.995 -0.407
20 H -0.787 1.982 1.090
21 H 1.967 1.669 -2.047

Its spin multiplicity is 1.

# 4
C53H55AuClIN2O6 | the ωB97M-V functional and the def2-TZVPD basis

Positions of all 119 atoms, in Å:
1 Au 1.117 0.896 -0.269
2 C -0.797 -1.914 -3.662
3 C -1.112 -2.075 -2.177
4 C -2.527 -2.624 -1.971
5 C -0.092 -2.938 -1.458
6 C 0.300 -4.169 -1.971
7 C 1.205 -4.977 -1.297
8 C 1.743 -4.536 -0.096
9 C 1.376 -3.313 0.454
10 C 2.022 -2.826 1.739
11 C 3.474 -2.410 1.479
12 C 1.930 -3.857 2.869
13 C 0.432 -2.515 -0.223
14 N 0.079 -1.267 0.294
15 C -0.791 -1.146 1.272
16 C -1.053 0.101 1.946
17 N -0.405 1.206 1.675
18 C -0.687 2.397 2.340
19 C -1.747 3.213 1.919
20 C -2.000 4.390 2.617
21 C -1.218 4.770 3.699
22 C -0.130 3.983 4.062
23 C 0.165 2.809 3.381
24 C 1.368 1.959 3.747
25 C 2.628 2.789 3.998
26 C 1.054 1.062 4.948
27 C -2.572 2.831 0.702
28 C -4.040 2.586 1.058
29 C -2.444 3.884 -0.402
30 C -2.080 -0.166 2.995